Newsletter Winter 2014

Nursery News

I would like to give a warm welcome to all the new children who have joined the nursery since our last newsletter. Welcome to Jasmine and Megan. You may have noticed some changes around nursery. We have added an arch to the blue room to define play areas more. The baby room had a new wooden play kitchen and we have had lots of new toys to play with.

The Nativity play was an absolute pleasure to watch as the children put on a splendid performance, thank you again for the support with costumes and your attendance. Elaine, the vicar extended her thanks for your generous donations.

Thank you to those parents who completed our questionnaire, this feedback is very useful and allows us to continuously improve and meet the needs of your children and the family. I am pleased to report that the results are positive highlighting that on the whole you strongly agreed that the quality of care, learning, staff and leadership were excellent and met your expectations.

Suggestions for further improvements were; to post on the website daily activities, some more outings and some more focus on baby led weaning.

Comments from parents below

‘My little boy loves coming to nursery, he gets a lot from it.’

Thankyou for all of the staff at School House Nursery for all your hardwork’

‘Both key workers fully understand the boys likes ,dislikes, personalities, which as a mum makes leaving them so much easier and confident that they will have a good day at nursery’

‘Cant speak highly enough of the staff’, ‘how the staff treat the children made the dreaded return to work and separation anxiety all the more bearable’

‘I personally think your staff are excellent. I feel my child is cared for and not just looked after’

‘X is still happy to go nursery and always seems to be doing interesting things. The staff all seem friendly and approachable. They are all helpful and patient with the parents as well as children.’

‘We are more than happy with the care each received. Any concerns have been addressed promptly and professionally’

‘Excellent, all staff are extremely welcoming and work hard to keep all the children happy.’

‘A fantastic nursery, exactly why I have recommended friends to take their children there!’

‘I feel that x time at School House has been a wholly positive experience with good staff –parent communication and a happy, positive feeling within school.’

Alice is a real credit to nursery. It’s a pleasure to deal with her and X is fond of her and happiest when she is around. All staff work well together and have created a friendly and professional setting-thankyou’


A few dates for your diaries;

Saturday May 10th will be our next open morning (chance to look at your child’s learning journey and to talk with their key worker)

Stockley Farm visit April date to be arranged.

Staff Update

Congratulations to Sarah who had Maisie in December both are doing well. Welcome back to Steph who has returned to nursery after her maternity leave. Congratulations to Louise who is now a qualified Early Years Teacher. Alice and Mandy Beckett are now attending University of Chester to gain a degree in child development.

Toddler’s rules

1. If I want it’s mine

2. If tis in my hand, it’s mine

3. If I can take it away from you it’s mine

4. If I had it a while ago its mine

5. If it’s mine, it must never appear to be yours in any way

6. If we are building something together, all the pieces are mine

7. If it looks like mine , its mine

8. If I think it’s mine, its mine

9. If I give it you and change my mind later, its mine

10. Once it’s mine it will never belong to anyone else no matter what

=====
Compound: TaI2BrO
Source: the Alexandria database
Functional: PBE
Structure: optimized geometry

```
TaI2BrO
1.0
5.671 0.000 0.000
0.000 5.671 0.000
0.000 0.000 3.912
Ta I Br O
1 2 1 1
Cartesian
0.000 0.000 0.000
0.000 2.835 0.000
2.835 0.000 0.000
2.835 2.835 1.956
0.000 0.000 1.956
```

Output
The calculation puts the energy above the most stable polymorph in this dataset at 0 meV per atom. The uncorrected formation energy is -0.6470 eV per atom. The density comes out at 7.005 g/cm³.

~~~~~

[1]
Computed, not measured: an optimized crystal structure of BeReTe2 at the GGA-PBE level of DFT.

Cell and atoms, written as POSCAR:
```
BeReTe2
1.0
7.7186 0.0213 0.0128
6.9598 3.3375 0.0128
6.9598 1.5926 2.9330
Re Te Be
1 2 1
Direct
0.7500 0.7500 0.7500
0.9948 0.9948 0.9948
0.5052 0.5052 0.5052
0.2500 0.2500 0.2500
```

Results
density: 9.997 Mg/m³
formation energy from raw total energies: 0.624 eV/atom
DOS at the Fermi energy: 2.34 states/eV per cell
calculated volume: 18.70 Å³ per atom

***

[2]
Computed, not measured: an optimized crystal structure of BeReTe2 at the GGA-PBE level of DFT.

Cell and atoms, written as POSCAR:
```
BeReTe2
1.0
4.7376 -0.0129 -0.0212
-0.7562 4.6769 -0.0212
0.0146 0.0171 3.3541
Re Te Be
1 2 1
Direct
0.0000 0.5000 0.5000
0.0000 0.0000 0.0000
0.5000 0.5000 0.0000
0.5000 0.0000 0.5000
```

Results
density: 10.068 Mg/m³
formation energy from raw total energies: 0.929 eV/atom
DOS at the Fermi energy: 3.76 states/eV per cell
calculated volume: 18.57 Å³ per atom

***

[3]
Computed, not measured: an optimized crystal structure of BeReTe2 at the GGA-PBE level of DFT.

Cell and atoms, written as POSCAR:
```
BeReTe2
1.0
5.9312 0.0000 0.0000
0.0000 5.9312 0.0000
2.9656 2.9656 5.5831
Re Te Be
2 4 2
Direct
0.0000 0.0000 0.0000
0.7500 0.2500 0.5000
0.6024 0.1250 0.2500
0.1476 0.6250 0.2500
0.3750 0.3976 0.7500
0.8750 0.8524 0.7500
0.5000 0.5000 0.0000
0.2500 0.7500 0.5000
```

Results
density: 7.616 Mg/m³
formation energy from raw total energies: 0.559 eV/atom
DOS at the Fermi energy: 7.65 states/eV per cell
calculated volume: 24.55 Å³ per atom

***

[4]
Computed, not measured: an optimized crystal structure of BeReTe2 at the GGA-PBE level of DFT.

Cell and atoms, written as POSCAR:
```
BeReTe2
1.0
4.7375 0.0000 0.0000
2.3687 4.1028 0.0000
2.3687 1.3676 3.8681
Re Te Be
1 2 1
Direct
0.7500 0.7500 0.7500
0.0000 0.0000 0.0000
0.2500 0.2500 0.2500
0.5000 0.5000 0.5000
```

Results
density: 9.948 Mg/m³
formation energy from raw total energies: 1.234 eV/atom
DOS at the Fermi energy: 1.46 states/eV per cell
calculated volume: 18.80 Å³ per atom

***

Number 3 is which compound?
BeReTe2

***

Which value of DOS at the Fermi energy does entry 2 give?
3.76 states/eV per cell
=====
So much for the materials data:

Fun and Learning

As I am sure that you are aware of the children in the main nursery have small circle times in their groups. These are mostly planned and run by their key carer. Here is an update at what each group have been busy doing since September.

Red Group – Alice

The children in the red group have been exploring letter sound and letter recognition and looking for them in the environment. They have recently shared their letter folders with each other as these contain objects beginning with a letter sound that the children have found at home.

We have been talking about the importance of being healthy and which food is healthy and unhealthy. We have also looked at the effects that exercise has on our body. “When I run my heart beats faster”. We have been discussing different cultures and their celebrations starting with Chinese New Year. We made dragons, lanterns, fans and explored Chinese writing and tasted Chinese food.

Green Group – Mandy B

Have been comparing sizes using tape measures to measure each other and made a height chart. They used lots of mathematical language (big, small, biggest, and smallest) in this activity. We have also compared similarities and differences looking at hair, eye and skin colour and made some self-portraits. We have looked at shapes around the nursery and practised shape names, we then cut out our own shapes to make pictures encouraging colour recognition.

We have been celebrating Chinese New Year making dragons, Chinese writing, potato printing and using chopsticks.

Yellow Group – Mandy O-C

The yellow group have been spending a lot of time exploring the wooden blocks. They have been developing cooperative play and language to create different structures. As a group we have been concentrating on mathematical activities. The children have been sorting, counting and measuring in the sand and water. The group have all shown a lot of enjoyment in our new shape sorter.

Over Christmas the group helped to create a winter wonderland and smowmen for our winter display.

Blue – Julia/Steph The blue group have been incorporating colour into their activities. They have been using the peg boards and the shape sorters to distinguish between colours.

We have been exploring our creating talents to create pictures using different textures, we use rollers and cars to make patterns. Some of the children took part in body painting which involved lots of messy fun and resulted in a splash in the water tray to wash away the paint. The blue group have been practising taking turns and sharing at small group time and free play and have responded well bearing in mind when your two everything is MINE!

Babies – Louise

The babies have been mark making in different contexts in a large scale with paints with different sized tools. The babies took a particular interest in mark making on the outdoor chalk board.

The baby room children have also been exploring our new pretend kitchen and role play area introducing dolls to support play. We use nursery puppets during circle time activities joining in with our favourite actions.

Heuristic Play

The babies and the blue group take part in heuristic play sessions throughout the week. Heuristic play provides an opportunity for young children to explore collections of objects of different sizes and materials such as tins, tubes, ribbons, wooden shapes, pegs, corks and lots more. This enables the children to develop their creative and exploratory drive and to engage in sensory active play.

Extra Curriculum Activities

French time lessons are running on a Wednesday morning term time only for those children who are in pre school or approaching their 3rd Birthday. Also Little Thespian’s takes place on a Tuesday morning this activity involves drama and dance and the cost is £3.00 per session.

Early Years Foundation Grant

Children who reach their 3rd birthday before the 31st March 2014 will qualify for Educational funding from April. It has increased to 15 hours per week for 38 weeks (school terms) of the year. Presently, it is £3.85 per hour and can be taken flexibly over a minimum of 2 days.

Additionally, nursery can offer 2 year old places to children who qualify from criteria set by the government based on family income or circumstances. You should have received notification from Cheshire West and Chester council if you qualify. If you think you may qualify but haven’t had a letter, please ask Michelle or Mandy for further details

Child Protection

School House Nursery is committed to creating and maintaining the safest possible environment for children to be cared for and educated in. School House Nursery believes that it is always unacceptable for a child or young person to experience abuse of any kind and we recognise our responsibility to safeguard the welfare of all children and young people, by a commitment to practice which protects them.

Our prime responsibility is the welfare and well being of all children in our care. As such we believe we have a duty to the children, parents/carers and staff to act quickly and responsibly in any instance that may come to our attention.

The nursery has a duty to report any suspicions of abuse to the Local Authority which has a duty to investigate such matters. The nursery will follow the procedures set out in the Local Authorities, safe guarding children’s board reference documents, and as such will seek their advice on all steps taken subsequently.

Should any member of staff or parents have concern for the welfare of any child they will immediately inform the designated safe guarding children officer. Should you wish for a copy of our safeguarding policy, please ask. It is also kept in the folder in the lobby along with all nursery policies and procedures.

Polite Requests

Please could we ask parents to bring in family photos for your child so that we can make them a special book to share with their friends? It’s that time of year again when the weather changes, please can we ask you to provide your child with slippers and wellies.

Nursery Fees

Your invoices will now be sent by Email and the password is lowercase and the name of your child.

I am sure you are aware that personal cheques are soon to be a thing of the past. Payments can be made by BACS transfer

Account number 01481088

Sort code 40:35:07

Please could you reference with your child’s name

It is greatly appreciated if payments can be made within the first week of you receiving your invoice. This will avoid late payment charges being applied to your account. As a small company if payments are received late this can cause problems with staff salaries. Fees can also be paid by childcare vouchers schemes which are run by most employers these can allow you to save on your childcare fees through a reduction in national insurance contributions. Presently we accept Imagine, Busy Bees, Acor, Apple, Care4u, and Fidelity vouchers, but we can register for others if your employer is subscribed to another company.

Should you wish to have any clarification on any of the above please feel free to contact myself

Warmest regards

Michelle and the team